_Data_
A structure of composition C15H31Cl2CuF2N4O4S2 in a non-equilibrium geometry. Source: the Open Molecules 2025 dataset; level of theory: wB97M-V/def2-TZVPD.

Properties
**Lowest unoccupied orbital energy**: -0.0688 hartree
**Spin multiplicity**: 1
**Frontier orbital gap**: 4.5 eV
**Energy**: -126985.656 eV
**Highest occupied orbital energy**: -6.40 eV
**Energy above the lowest of the compared OMol25 structures with the same formula, charge and spin**: 162.7 kcal/mol
**Charge**: 0

Last column: Löwdin charge in e.
Geometry (Å):
1 Cu -16.26854 -17.08642 13.23128  0.720
2 C -10.79763 -14.34647 16.43502  -0.089
3 C -11.35253 -15.83802 16.33602  -0.227
4 C -10.54316 -16.68886 15.36484  -0.171
5 C -8.99859 -16.75597 15.76934  -0.065
6 N -8.18435 -17.60691 14.72986  -0.227
7 C -8.55291 -19.16011 14.81802  -0.043
8 C -7.87804 -19.72952 16.10645  -0.127
9 C -6.65142 -18.79229 16.28590  -0.180
10 C -6.73084 -17.76142 15.27253  -0.125
11 C -8.18973 -16.94183 13.39491  0.023
12 H -11.29648 -13.65452 17.11358  0.072
13 H -10.98697 -13.97416 15.42823  0.073
14 H -9.75341 -14.11622 16.64642  0.054
15 H -12.37077 -15.67052 15.98497  0.114
16 H -11.33683 -16.34506 17.30079  0.104
17 H -10.85230 -16.22451 14.42840  0.113
18 H -11.01046 -17.67331 15.34060  0.107
19 H -8.63187 -16.81307 16.79422  0.139
20 H -8.57570 -15.75314 15.70955  0.103
21 H -7.97199 -19.58769 14.00081  0.130
22 H -9.60287 -19.45153 14.84513  0.129
23 H -7.79677 -20.80622 15.95739  0.126
24 H -8.44177 -19.54372 17.02065  0.110
25 H -5.80163 -19.47038 16.20740  0.128
26 H -6.74341 -18.49411 17.33028  0.118
27 H -6.12373 -18.16687 14.46313  0.140
28 H -6.51184 -16.73342 15.56127  0.141
29 H -7.75051 -15.96277 13.58629  0.112
30 H -9.17587 -16.88354 12.93424  0.112
31 H -7.49791 -17.48724 12.75303  0.107
32 C -22.83462 -20.51686 7.06656  -0.079
33 C -23.82889 -19.93821 7.96746  -0.179
34 N -23.27874 -18.67977 8.46417  -0.029
35 C -22.46152 -18.45118 9.54335  -0.002
36 C -22.18726 -17.12204 9.67791  -0.003
37 N -22.96004 -16.46268 8.79173  -0.093
38 C -23.67584 -17.42090 8.11247  0.029
39 C -22.90338 -15.04967 8.62652  0.001
40 H -23.38857 -21.19325 6.41562  0.089
41 H -22.23762 -21.25311 7.60476  0.094
42 H -22.24707 -19.86013 6.42500  0.101
43 H -24.06760 -20.59334 8.80526  0.144
44 H -24.72191 -19.71806 7.38251  0.131
45 H -21.92478 -19.20467 10.10061  0.148
46 H -21.52869 -16.55073 10.31531  0.153
47 H -24.46629 -17.18151 7.41658  0.164
48 H -22.03622 -14.50889 9.00563  0.120
49 H -23.78249 -14.51402 8.98477  0.107
50 H -22.98825 -14.89778 7.55051  0.105
51 Cl -15.95335 -13.36875 10.75974  -0.889
52 Cl -18.22364 -17.71060 16.97820  -0.836
53 N -15.11200 -20.86669 11.48299  -0.252
54 S -15.56367 -22.22084 11.35356  0.353
55 O -14.85249 -23.36329 11.96135  -0.310
56 O -16.42129 -22.51144 10.17278  -0.326
57 F -16.69776 -22.04195 12.49671  -0.241
58 S -14.04772 -21.09640 10.12727  0.613
59 O -14.55577 -21.01441 8.73006  -0.298
60 O -12.77517 -21.73964 10.41769  -0.290
61 F -13.49757 -19.59087 10.15776  -0.244

Forces on atoms 1 to 6 (eV/Å):
-0.32 0.23 0.28
-0.41 -0.40 -0.73
1.26 1.59 1.51
0.07 -0.03 1.03
-0.59 1.10 -2.33
-0.44 -2.16 2.82

A structure of composition C15H31ClCrI2NP2 in a non-equilibrium geometry. Source: the Open Molecules 2025 dataset; level of theory: wB97M-V/def2-TZVPD.

Properties
**Lowest unoccupied orbital energy (spin up / spin down)**: -0.3393 / -0.3610 hartree
**Spin multiplicity**: 4
**Frontier orbital gap (spin up / spin down)**: 5.4 / 4.9 eV
**Energy**: -93255.351 eV
**Highest occupied orbital energy (spin up / spin down)**: -14.64 / -14.68 eV
**Charge**: +2
**Expectation value of S²**: 4.14

Last column: Löwdin charge in e.
Geometry (Å):
1 I -2.28854 -0.13971 -1.14879  0.788
2 I 2.46874 0.71577 0.62263  0.735
3 Cr 0.08901 -0.43711 0.14609  -0.337
4 P 0.69955 1.06987 -2.01732  0.692
5 C 1.55604 0.10281 -3.31635  -0.213
6 C -0.68428 1.84396 -2.96080  -0.340
7 H -0.26567 2.43664 -3.78043  0.069
8 H 1.81711 3.05600 -2.85579  0.071
_Exercise_
Quote all of the calculation results further up unchanged.
_Reply_
A structure of composition C15H31Cl2CuF2N4O4S2 in a non-equilibrium geometry. Source: the Open Molecules 2025 dataset; level of theory: wB97M-V/def2-TZVPD.

Properties
**Lowest unoccupied orbital energy**: -0.0688 hartree
**Spin multiplicity**: 1
**Frontier orbital gap**: 4.5 eV
**Energy**: -126985.656 eV
**Highest occupied orbital energy**: -6.40 eV
**Energy above the lowest of the compared OMol25 structures with the same formula, charge and spin**: 162.7 kcal/mol
**Charge**: 0

Last column: Löwdin charge in e.
Geometry (Å):
1 Cu -16.26854 -17.08642 13.23128  0.720
2 C -10.79763 -14.34647 16.43502  -0.089
3 C -11.35253 -15.83802 16.33602  -0.227
4 C -10.54316 -16.68886 15.36484  -0.171
5 C -8.99859 -16.75597 15.76934  -0.065
6 N -8.18435 -17.60691 14.72986  -0.227
7 C -8.55291 -19.16011 14.81802  -0.043
8 C -7.87804 -19.72952 16.10645  -0.127
9 C -6.65142 -18.79229 16.28590  -0.180
10 C -6.73084 -17.76142 15.27253  -0.125
11 C -8.18973 -16.94183 13.39491  0.023
12 H -11.29648 -13.65452 17.11358  0.072
13 H -10.98697 -13.97416 15.42823  0.073
14 H -9.75341 -14.11622 16.64642  0.054
15 H -12.37077 -15.67052 15.98497  0.114
16 H -11.33683 -16.34506 17.30079  0.104
17 H -10.85230 -16.22451 14.42840  0.113
18 H -11.01046 -17.67331 15.34060  0.107
19 H -8.63187 -16.81307 16.79422  0.139
20 H -8.57570 -15.75314 15.70955  0.103
21 H -7.97199 -19.58769 14.00081  0.130
22 H -9.60287 -19.45153 14.84513  0.129
23 H -7.79677 -20.80622 15.95739  0.126
24 H -8.44177 -19.54372 17.02065  0.110
25 H -5.80163 -19.47038 16.20740  0.128
26 H -6.74341 -18.49411 17.33028  0.118
27 H -6.12373 -18.16687 14.46313  0.140
28 H -6.51184 -16.73342 15.56127  0.141
29 H -7.75051 -15.96277 13.58629  0.112
30 H -9.17587 -16.88354 12.93424  0.112
31 H -7.49791 -17.48724 12.75303  0.107
32 C -22.83462 -20.51686 7.06656  -0.079
33 C -23.82889 -19.93821 7.96746  -0.179
34 N -23.27874 -18.67977 8.46417  -0.029
35 C -22.46152 -18.45118 9.54335  -0.002
36 C -22.18726 -17.12204 9.67791  -0.003
37 N -22.96004 -16.46268 8.79173  -0.093
38 C -23.67584 -17.42090 8.11247  0.029
39 C -22.90338 -15.04967 8.62652  0.001
40 H -23.38857 -21.19325 6.41562  0.089
41 H -22.23762 -21.25311 7.60476  0.094
42 H -22.24707 -19.86013 6.42500  0.101
43 H -24.06760 -20.59334 8.80526  0.144
44 H -24.72191 -19.71806 7.38251  0.131
45 H -21.92478 -19.20467 10.10061  0.148
46 H -21.52869 -16.55073 10.31531  0.153
47 H -24.46629 -17.18151 7.41658  0.164
48 H -22.03622 -14.50889 9.00563  0.120
49 H -23.78249 -14.51402 8.98477  0.107
50 H -22.98825 -14.89778 7.55051  0.105
51 Cl -15.95335 -13.36875 10.75974  -0.889
52 Cl -18.22364 -17.71060 16.97820  -0.836
53 N -15.11200 -20.86669 11.48299  -0.252
54 S -15.56367 -22.22084 11.35356  0.353
55 O -14.85249 -23.36329 11.96135  -0.310
56 O -16.42129 -22.51144 10.17278  -0.326
57 F -16.69776 -22.04195 12.49671  -0.241
58 S -14.04772 -21.09640 10.12727  0.613
59 O -14.55577 -21.01441 8.73006  -0.298
60 O -12.77517 -21.73964 10.41769  -0.290
61 F -13.49757 -19.59087 10.15776  -0.244

Forces on atoms 1 to 6 (eV/Å):
-0.32 0.23 0.28
-0.41 -0.40 -0.73
1.26 1.59 1.51
0.07 -0.03 1.03
-0.59 1.10 -2.33
-0.44 -2.16 2.82

A structure of composition C15H31ClCrI2NP2 in a non-equilibrium geometry. Source: the Open Molecules 2025 dataset; level of theory: wB97M-V/def2-TZVPD.

Properties
**Lowest unoccupied orbital energy (spin up / spin down)**: -0.3393 / -0.3610 hartree
**Spin multiplicity**: 4
**Frontier orbital gap (spin up / spin down)**: 5.4 / 4.9 eV
**Energy**: -93255.351 eV
**Highest occupied orbital energy (spin up / spin down)**: -14.64 / -14.68 eV
**Charge**: +2
**Expectation value of S²**: 4.14

Last column: Löwdin charge in e.
Geometry (Å):
1 I -2.28854 -0.13971 -1.14879  0.788
2 I 2.46874 0.71577 0.62263  0.735
3 Cr 0.08901 -0.43711 0.14609  -0.337
4 P 0.69955 1.06987 -2.01732  0.692
5 C 1.55604 0.10281 -3.31635  -0.213
6 C -0.68428 1.84396 -2.96080  -0.340
7 H -0.26567 2.43664 -3.78043  0.069
8 H 1.81711 3.05600 -2.85579  0.071